Now return the whole of the data below word for word.
1.
Density functional theory data (PBE) for TiTl4S4 after structural relaxation.

Computed properties:
total energy: -4.49 eV per atom

abc: 8.4529 8.5616 15.8434
angles: 74.33 90.00 90.00
Element x y z (fractional)
S 0.6688 0.9575 0.2114
S 0.8312 0.9575 0.7114
S 0.9448 0.3826 0.7040
S 0.8253 0.2990 0.0369
S 0.5552 0.3826 0.2040
S 0.1062 0.1841 0.5403
S 0.3253 0.7010 0.4631
S 0.1747 0.7010 0.9631
S 0.3312 0.0425 0.7886
S 0.3938 0.1841 0.0403
S 0.1688 0.0425 0.2886
S 0.6747 0.2990 0.5369
S 0.6062 0.8159 0.9597
S 0.4448 0.6174 0.7960
S 0.8938 0.8159 0.4597
S 0.0552 0.6174 0.2960
Tl 0.5989 0.1775 0.8770
Tl 0.4918 0.0263 0.3668
Tl 0.0082 0.0263 0.8668
Tl 0.5082 0.9737 0.6332
Tl 0.8166 0.5870 0.1083
Tl 0.9011 0.1775 0.3770
Tl 0.6834 0.5870 0.6083
Tl 0.0989 0.8225 0.6230
Tl 0.3166 0.4130 0.3917
Tl 0.9918 0.9737 0.1332
Tl 0.1834 0.4130 0.8917
Tl 0.2770 0.3850 0.6413
Tl 0.7770 0.6150 0.8587
Tl 0.4011 0.8225 0.1230
Tl 0.7230 0.6150 0.3587
Tl 0.2230 0.3850 0.1413
Ti 0.8884 0.2091 0.6221
Ti 0.1116 0.7909 0.3779
Ti 0.3884 0.7909 0.8779
Ti 0.6116 0.2091 0.1221



2.
Density functional theory data (PBE) for MgSi2 after structural relaxation.

Computed properties:
total energy: -3.99 eV per atom
total magnetization: 0.0 μB per formula unit

abc: 4.5965 4.5965 2.7043
angles: 90.00 90.00 122.34
Element x y z (fractional)
Si 0.8358 0.1642 0.5000
Si 0.1642 0.8358 0.5000
Mg 0.5000 0.5000 0.0000



3.
Density functional theory data (PBE) for Ti2AgBiO6 after structural relaxation.

Computed properties:
total energy: -7.27 eV per atom
total magnetization: 0.0 μB per formula unit

abc: 5.5380 5.5380 5.5380
angles: 120.79 120.79 88.63
Element x y z (fractional)
O 0.5000 0.0000 0.5000
O 0.0444 0.0444 0.6117
O 0.0000 0.5000 0.5000
O 0.5673 0.9556 0.0000
O 0.9556 0.5673 0.0000
O 0.4327 0.4327 0.3883
Ag 0.5000 0.5000 0.0000
Ti 0.2500 0.7500 0.5000
Ti 0.7500 0.2500 0.5000
Bi 0.0000 0.0000 0.0000



4.
Density functional theory data (PBE) for ErMnAl after structural relaxation.

Computed properties:
total energy: -6.08 eV per atom
total magnetization: 2.6 μB per formula unit

abc: 5.4099 5.4099 5.4099
angles: 119.56 118.97 91.28
Element x y z (fractional)
Er 0.1303 0.8803 0.2500
Er 0.8697 0.1197 0.7500
Al 0.0000 0.5000 0.5000
Al 0.5000 0.5000 0.0000
Mn 0.5000 0.5000 0.5000
Mn 0.5000 0.0000 0.0000



5.
Density functional theory data (PBE) for Tb3Te3N after structural relaxation.

Computed properties:
total energy: -6.03 eV per atom

abc: 12.0680 8.1700 8.7010
angles: 70.93 90.00 90.00
Element x y z (fractional)
Te 0.4782 0.2242 0.0836
Te 0.5218 0.7758 0.9164
Te 0.6884 0.0451 0.5145
Te 0.2343 0.5077 0.8158
Te 0.2657 0.5077 0.3158
Te 0.9782 0.7758 0.4164
Te 0.7657 0.4923 0.1842
Te 0.8116 0.0451 0.0145
Te 0.0218 0.2242 0.5836
Te 0.7343 0.4923 0.6842
Te 0.3116 0.9549 0.4855
Te 0.1884 0.9549 0.9855
Tb 0.7918 0.7674 0.8410
Tb 0.2918 0.2326 0.6590
Tb 0.4778 0.6031 0.6381
Tb 0.2082 0.2326 0.1590
Tb 0.5222 0.3969 0.3619
Tb 0.9105 0.1605 0.2954
Tb 0.7082 0.7674 0.3409
Tb 0.0222 0.6031 0.1381
Tb 0.4105 0.8395 0.2046
Tb 0.5895 0.1605 0.7954
Tb 0.9778 0.3969 0.8619
Tb 0.0895 0.8395 0.7046
N 0.5341 0.6721 0.3759
N 0.0341 0.3279 0.1241
N 0.4659 0.3279 0.6241
N 0.9659 0.6721 0.8759



6.
Density functional theory data (PBE) for Al2O3 after structural relaxation.

Computed properties:
total energy: -7.26 eV per atom
total magnetization: 0.0 μB per formula unit

abc: 10.7017 10.2102 10.2651
angles: 94.12 87.63 99.61
Element x y z (fractional)
Al 0.7154 0.4997 0.5157
Al 0.0621 0.7798 0.7497
Al 0.3162 0.8621 0.1221
Al 0.1854 0.9470 0.5139
Al 0.5758 0.8652 0.0311
Al 0.9857 0.4234 0.5062
Al 0.9484 0.0098 0.6543
Al 0.6350 0.7269 0.7487
Al 0.7156 0.7378 0.2765
Al 0.4167 0.6008 0.9329
Al 0.8400 0.5438 0.7440
Al 0.4716 0.3055 0.3427
Al 0.5276 0.0623 0.3280
Al 0.0731 0.9703 0.9950
Al 0.7188 0.0230 0.8339
Al 0.5389 0.9693 0.6190
Al 0.4461 0.4780 0.6403
Al 0.1244 0.5825 0.0713
Al 0.2351 0.2468 0.9006
Al 0.1718 0.2555 0.6140
Al 0.8162 0.7151 0.9671
Al 0.0139 0.2543 0.0949
1.
Density functional theory data (PBE) for TiTl4S4 after structural relaxation.

Computed properties:
total energy: -4.49 eV per atom

abc: 8.4529 8.5616 15.8434
angles: 74.33 90.00 90.00
Element x y z (fractional)
S 0.6688 0.9575 0.2114
S 0.8312 0.9575 0.7114
S 0.9448 0.3826 0.7040
S 0.8253 0.2990 0.0369
S 0.5552 0.3826 0.2040
S 0.1062 0.1841 0.5403
S 0.3253 0.7010 0.4631
S 0.1747 0.7010 0.9631
S 0.3312 0.0425 0.7886
S 0.3938 0.1841 0.0403
S 0.1688 0.0425 0.2886
S 0.6747 0.2990 0.5369
S 0.6062 0.8159 0.9597
S 0.4448 0.6174 0.7960
S 0.8938 0.8159 0.4597
S 0.0552 0.6174 0.2960
Tl 0.5989 0.1775 0.8770
Tl 0.4918 0.0263 0.3668
Tl 0.0082 0.0263 0.8668
Tl 0.5082 0.9737 0.6332
Tl 0.8166 0.5870 0.1083
Tl 0.9011 0.1775 0.3770
Tl 0.6834 0.5870 0.6083
Tl 0.0989 0.8225 0.6230
Tl 0.3166 0.4130 0.3917
Tl 0.9918 0.9737 0.1332
Tl 0.1834 0.4130 0.8917
Tl 0.2770 0.3850 0.6413
Tl 0.7770 0.6150 0.8587
Tl 0.4011 0.8225 0.1230
Tl 0.7230 0.6150 0.3587
Tl 0.2230 0.3850 0.1413
Ti 0.8884 0.2091 0.6221
Ti 0.1116 0.7909 0.3779
Ti 0.3884 0.7909 0.8779
Ti 0.6116 0.2091 0.1221



2.
Density functional theory data (PBE) for MgSi2 after structural relaxation.

Computed properties:
total energy: -3.99 eV per atom
total magnetization: 0.0 μB per formula unit

abc: 4.5965 4.5965 2.7043
angles: 90.00 90.00 122.34
Element x y z (fractional)
Si 0.8358 0.1642 0.5000
Si 0.1642 0.8358 0.5000
Mg 0.5000 0.5000 0.0000



3.
Density functional theory data (PBE) for Ti2AgBiO6 after structural relaxation.

Computed properties:
total energy: -7.27 eV per atom
total magnetization: 0.0 μB per formula unit

abc: 5.5380 5.5380 5.5380
angles: 120.79 120.79 88.63
Element x y z (fractional)
O 0.5000 0.0000 0.5000
O 0.0444 0.0444 0.6117
O 0.0000 0.5000 0.5000
O 0.5673 0.9556 0.0000
O 0.9556 0.5673 0.0000
O 0.4327 0.4327 0.3883
Ag 0.5000 0.5000 0.0000
Ti 0.2500 0.7500 0.5000
Ti 0.7500 0.2500 0.5000
Bi 0.0000 0.0000 0.0000



4.
Density functional theory data (PBE) for ErMnAl after structural relaxation.

Computed properties:
total energy: -6.08 eV per atom
total magnetization: 2.6 μB per formula unit

abc: 5.4099 5.4099 5.4099
angles: 119.56 118.97 91.28
Element x y z (fractional)
Er 0.1303 0.8803 0.2500
Er 0.8697 0.1197 0.7500
Al 0.0000 0.5000 0.5000
Al 0.5000 0.5000 0.0000
Mn 0.5000 0.5000 0.5000
Mn 0.5000 0.0000 0.0000



5.
Density functional theory data (PBE) for Tb3Te3N after structural relaxation.

Computed properties:
total energy: -6.03 eV per atom

abc: 12.0680 8.1700 8.7010
angles: 70.93 90.00 90.00
Element x y z (fractional)
Te 0.4782 0.2242 0.0836
Te 0.5218 0.7758 0.9164
Te 0.6884 0.0451 0.5145
Te 0.2343 0.5077 0.8158
Te 0.2657 0.5077 0.3158
Te 0.9782 0.7758 0.4164
Te 0.7657 0.4923 0.1842
Te 0.8116 0.0451 0.0145
Te 0.0218 0.2242 0.5836
Te 0.7343 0.4923 0.6842
Te 0.3116 0.9549 0.4855
Te 0.1884 0.9549 0.9855
Tb 0.7918 0.7674 0.8410
Tb 0.2918 0.2326 0.6590
Tb 0.4778 0.6031 0.6381
Tb 0.2082 0.2326 0.1590
Tb 0.5222 0.3969 0.3619
Tb 0.9105 0.1605 0.2954
Tb 0.7082 0.7674 0.3409
Tb 0.0222 0.6031 0.1381
Tb 0.4105 0.8395 0.2046
Tb 0.5895 0.1605 0.7954
Tb 0.9778 0.3969 0.8619
Tb 0.0895 0.8395 0.7046
N 0.5341 0.6721 0.3759
N 0.0341 0.3279 0.1241
N 0.4659 0.3279 0.6241
N 0.9659 0.6721 0.8759



6.
Density functional theory data (PBE) for Al2O3 after structural relaxation.

Computed properties:
total energy: -7.26 eV per atom
total magnetization: 0.0 μB per formula unit

abc: 10.7017 10.2102 10.2651
angles: 94.12 87.63 99.61
Element x y z (fractional)
Al 0.7154 0.4997 0.5157
Al 0.0621 0.7798 0.7497
Al 0.3162 0.8621 0.1221
Al 0.1854 0.9470 0.5139
Al 0.5758 0.8652 0.0311
Al 0.9857 0.4234 0.5062
Al 0.9484 0.0098 0.6543
Al 0.6350 0.7269 0.7487
Al 0.7156 0.7378 0.2765
Al 0.4167 0.6008 0.9329
Al 0.8400 0.5438 0.7440
Al 0.4716 0.3055 0.3427
Al 0.5276 0.0623 0.3280
Al 0.0731 0.9703 0.9950
Al 0.7188 0.0230 0.8339
Al 0.5389 0.9693 0.6190
Al 0.4461 0.4780 0.6403
Al 0.1244 0.5825 0.0713
Al 0.2351 0.2468 0.9006
Al 0.1718 0.2555 0.6140
Al 0.8162 0.7151 0.9671
Al 0.0139 0.2543 0.0949